Ecological Landscape Modeling: Models Pages


Go to the documentation of this file.
00012 /* General notes on revisions to this source file. 
00013        Nov/Dec 2004 v2.3.2: documentation upgrade 
00014                 - Re-organized, clarified scopes, Doxygen tags added 
00015         Oct 2006 v2.6.0: added model-experiment parameters (boundary condition experiments right now)
• Here the piece breaks off for calculated crystals:
<<<
The following is a theoretical powder X-ray diffraction pattern of Zn2SnSb3. It was derived from a GGA-PBE-relaxed structure, using a wavelength of 1.5418 Å.
Intensities are scaled so that the largest is 100.

Top 12 peaks for 10 to 90 degrees two-theta, low angle first:
| d [Å] | intensity |
| --- | --- |
| 3.636 | 100 |
| 3.618 | 34 |
| 2.227 | 66 |
| 2.217 | 34 |
| 1.900 | 26 |
| 1.895 | 31 |
| 1.574 | 10 |
| 1.445 | 6 |
| 1.440 | 6 |
| 1.288 | 7 |
| 1.283 | 10 |
| 1.281 | 6 |

Crystal structure
a = 7.7140 Å, b = 7.7140 Å, c = 7.6677 Å
α = 99.54°, β = 99.54°, γ = 119.91°
Atoms (fractional coordinates):
Zn: 0.0815 0.9185 0.5000
Zn: 0.2342 0.7368 0.9976
Zn: 0.7368 0.2342 0.4976
Zn: 0.9185 0.0815 0.0000
Sn: 0.3996 0.5730 0.4902
Sn: 0.5730 0.3996 0.9902
Sb: 0.0107 0.1802 0.3661
Sb: 0.1802 0.0107 0.8661
Sb: 0.3618 0.8837 0.3645
Sb: 0.5397 0.7252 0.8861
Sb: 0.7252 0.5397 0.3861
Sb: 0.8837 0.3618 0.8645
>>>
00018 */
00020 #ifndef SERIAL_H
00021 #define SERIAL_H
00023 #include "globals.h"
Misplaced crystal structures >
/*
# 1
For Cs2ZnHg2, a structure optimized by DFT (PBE) gives the calculated powder diffractogram in this record (Cu Kα (weighted mean of Kα1 and Kα2)).
Peak positions follow from Bragg's law for the DFT cell and can differ from measured ones.

Peak list (10 most intense, 2θ = 5–70°, in order of rising 2θ)
- 2θ = 13.8°, rel. 18
- 2θ = 25.6°, rel. 17
- 2θ = 27.4°, rel. 100
- 2θ = 31.2°, rel. 24
- 2θ = 32.8°, rel. 20
- 2θ = 35.8°, rel. 17
- 2θ = 45.9°, rel. 16
- 2θ = 49.3°, rel. 11
- 2θ = 54.3°, rel. 12
- 2θ = 55.3°, rel. 14

Atomic structure:
a b c (Å): 9.055 9.055 5.460
angles (deg): 90.00 90.00 90.00
Fractional coordinates of all 10 atoms:
Cs 0.180 0.320 0.000
Cs 0.320 0.820 0.000
Cs 0.680 0.180 0.000
Cs 0.820 0.680 0.000
Zn 0.000 0.000 0.500
Zn 0.500 0.500 0.500
Hg 0.124 0.624 0.500
Hg 0.376 0.124 0.500
Hg 0.624 0.876 0.500
Hg 0.876 0.376 0.500

---

# 2
For Cs6Ho3I14, a structure optimized by DFT (PBE) gives the calculated powder diffractogram in this record (Cu Kα (weighted mean of Kα1 and Kα2)).
Peak positions follow from Bragg's law for the DFT cell and can differ from measured ones.

Peak list (10 most intense, 2θ = 5–70°, in order of rising 2θ)
- 2θ = 12.7°, rel. 55
- 2θ = 13.8°, rel. 45
- 2θ = 22.7°, rel. 93
- 2θ = 24.6°, rel. 46
- 2θ = 25.0°, rel. 100
- 2θ = 26.5°, rel. 52
- 2θ = 27.7°, rel. 60
- 2θ = 29.1°, rel. 65
- 2θ = 40.7°, rel. 48
- 2θ = 46.8°, rel. 44

Atomic structure:
a b c (Å): 13.992 13.992 7.591
angles (deg): 90.00 90.00 120.00
Fractional coordinates of all 23 atoms:
Cs 0.025 0.461 0.000
Cs 0.306 0.207 0.488
Cs 0.436 0.975 0.000
Cs 0.539 0.564 0.000
Cs 0.793 0.099 0.488
Cs 0.901 0.694 0.488
Ho 0.000 0.000 0.070
Ho 0.333 0.667 0.581
Ho 0.667 0.333 0.731
I 0.000 0.000 0.686
I 0.075 0.222 0.200
I 0.147 0.925 0.200
I 0.189 0.745 0.709
I 0.255 0.444 0.709
I 0.333 0.667 0.198
I 0.459 0.260 0.955
I 0.531 0.125 0.509
I 0.556 0.811 0.709
I 0.594 0.469 0.509
I 0.740 0.199 0.955
I 0.778 0.853 0.200
I 0.801 0.541 0.955
I 0.875 0.406 0.509

---

# 3
For Cs2HoI6, a structure optimized by DFT (PBE) gives the calculated powder diffractogram in this record (Cu Kα (weighted mean of Kα1 and Kα2)).
Peak positions follow from Bragg's law for the DFT cell and can differ from measured ones.

Peak list (10 most intense, 2θ = 5–70°, in order of rising 2θ)
- 2θ = 25.1°, rel. 26
- 2θ = 25.2°, rel. 26
- 2θ = 27.5°, rel. 100
- 2θ = 31.0°, rel. 37
- 2θ = 40.3°, rel. 19
- 2θ = 42.9°, rel. 35
- 2θ = 45.7°, rel. 24
- 2θ = 50.4°, rel. 26
- 2θ = 51.7°, rel. 17
- 2θ = 69.3°, rel. 18

Atomic structure:
a b c (Å): 8.425 8.425 14.190
angles (deg): 90.00 90.00 120.00
Fractional coordinates of all 18 atoms:
Cs 0.000 0.000 0.000
Cs 0.000 0.000 0.500
Cs 0.333 0.667 0.248
Cs 0.667 0.333 0.748
Ho 0.333 0.667 0.623
Ho 0.667 0.333 0.123
I 0.001 0.500 0.498
I 0.164 0.327 0.744
I 0.164 0.836 0.744
I 0.327 0.164 0.244
I 0.500 0.001 0.998
I 0.500 0.500 0.498
I 0.500 0.500 0.998
I 0.500 0.999 0.498
I 0.673 0.836 0.744
I 0.836 0.164 0.244
I 0.836 0.673 0.244
I 0.999 0.500 0.998
*/
00024 #if HDF4 /* v2.8.1 changed this from HDF to HDF4 */ /* (Nov 2004): do not #define HDF to true (globals.h) until hdf header sources are updated */
00025 #include "hdf.h"
00026 #endif
00027 #if NCDF3
00028 #include "netcdf.h"
00029 #endif
00031 #define HDF_VERIFY(a) if(ret == FAIL) { printf("*** UNEXPECTED RETURN from %s is %d\n", a, (int)ret); }
00034 struct combo_table      
00035 {
00036   char  name[25];       
00037   int step;             
00038   int type;             
00039   int ocnt;             
00040   float fvalue[10];     
00041   UCHAR  free;          
00042 };
00045 /* char gSectorChar = '¥'; */ /* this was changed (in HabParms dbase); the ascii special char had Macintosh origin (worked in code, but obscure translation in other OS) */
00046 /* char gHabChar = 'É'; */    /* this was changed (in HabParms dbase); the ascii special char had Macintosh origin (worked in code, but obscure translation in other OS) */
00047 char gSectorChar = '@';         
00048 char gHabChar = '^';             
00049 int habNumTot = 0;                                      
00051 char fileDelimitChar = 'È'; /* unused in v2.3 and above; the special char removed from .c source, put here only to indicate the past use of this special char in file name delimitation */
00052 char cTemp[200];                
00053 char gTerm[4];                  
00055 char gCArg[kCArgDepth][kCArgWidth];     
00057 int cell_pts[MAX_TS_FILES];     
00058 int numPtFiles=0;                               
00060 FILE* dFile;                    
00061 FILE* Driver_outfile;   
00062 FILE* *cnfgFile;                
00064 #define MAXCOMBOS  30                                   
00065 struct combo_table ctable[MAXCOMBOS];   
00066 UINT max_combos_open;                                    
00068 /* v2.8.2 - the UTM coordinates of model, for use in NetCDF output */
00069 int isFirstVar=1;
00070 float UTMnorth, UTMsouth, UTMeast, UTMwest; 
00071 float UTMnorthNAD83, UTMsouthNAD83, UTMeastNAD83, UTMwestNAD83; 
00072 extern float offMap_float; 
00073 extern float *nc_dataRowRev; 
00075 void writeMap(char*, void*, int, unsigned char, int);
00076 void writeFloatMap(char*, char*, float*, int, unsigned char, int, char*,int); /* new for v.2.8.2 */
00077 void writeFloatNetCDF(char*, char*, float*, int, unsigned char, int, char*,int); /* new for v.2.8.2 */
00078 void write_header(char* mapFileName,int size);
00079 void send_point_lists2(SeriesParm *pSeries, int nSeries);
00080 void writeSeries(void* fValue, char* label, char* desc, int N0, int N1, byte Mtype, byte format);
00081 void Combine(float* fValue, char* label, int nComp, int cType, int step);
00082 void open_point_lists(SeriesParm *pSeries, int nSeries);
00084 void exparam( struct nodenv* envInfo);
00085 void exgridsplit(int nprocs, int ndim,int nprocs2[2]);
00086 void exgridcoord(int pnum, int rnum[2]);
00087 void exgridsize( int pnum, int gsize[2],int lsize[2],int lstart[2]);
00088 void set_async_mode(FILE* file);
00089 void fmulti(FILE* file);
00090 void fsingl(FILE* file);
00091 void fasync(FILE* file);
00092 void exchange_borders(UCHAR* map, int size);
00093 void Cplot(VOIDP Map, unsigned char Mtype, float max_value, float min_value);
00094 void broadcastMsg( UCHAR* msgPtr);
00095 void broadcastInt(int* iValPtr);
00096 void broadcastChar(UCHAR* cPtr);
00097 void broadcastData( void* dataPtr, int *dataSize);
00098 void broadcastFloat(void* dataPtr);
00099 void sync_processors();
00100 void open_debug_outFile(int index);
00101 int exgridinit(int dim, int* nprocs);
00102 int on_this_proc(int x,int y);
00103 void local_setup(int argc, char** argv);
00105 int init_config_file(FILE *vpFile, char term1, char term2, char term3, char term4);
00106 int skip_cnfg_space(FILE *vpFile, char* tch);
00107 int parse_packet( FILE *vpFile, int* nArgs, char* test);
00108 int get_number(FILE *infile );
00109 int goto_index(FILE *infile, char tchar, int index);
00110 int read_header(char* mapfile);
00111 int getCombineIndex( char* name, int step,int type,int *last);
00113 float* get_hab_parm(char* s_parm_name, int s_parm_relval, char* parmName);
00114 float get_global_parm(char* s_parm_name, int s_parm_relval, char* parmName );
00115 float get_modexperim_parm(char* s_parm_name, int s_parm_relval, char* parmName ); /* added for v2.6 */
00116 float get_Nth_parm( FILE *infile, int pIndex, int* end, int hIndex );
00117 char* match_Sparm( char* s_parm_name, int s_parm_relval, char* parmName); 
00119 float SMDRAND(float fminVal, float fmaxVal);
00120 float* readSeriesCol(char *filename, int format, int index, int* Npt, float* TStep, int col);
00122 byte readMap(char*, void*);
00124 int gSLen[MAX_NHAB]; /* unused */
00126 /* externs */
00127 /* from driver_utilities.h */
00128 extern char *ProjName;
00129 extern char *ModelPath;
00130 extern char *OutputPath;
00131 extern char modelName[20], modelVers[10];
00133 extern void fatal(const char *msg);
00134 extern void calcdate(double jd, int *m, int *d, int *y, int *h, int *mi, double *sec);
00135 extern int skip_white(FILE* infile);
00136 extern int scan_forward (FILE* infile, const char* tstring);
00137 extern int find_char(FILE *infile, char tchar);
00138 extern double julday(int mon, int day, int year, int h, int mi, double se);
00139 extern VOIDP nalloc(unsigned mem_size, const char var_name[]);
00141 /* from generic_driver.h */
00142 extern char SimAlt[20];        
00143 extern char SimModif[20];        
00144 extern int gbl_size[2]; 
00145 extern int seed; 
00146 extern int procnum, Lprocnum, nprocs[2], nproc, recpnum[2], tramType, tramNum[2];
00147 extern int PORnumday;
00148 extern double Jdate_init;
00149 extern char initDateRead[15];   
00151 #endif  /* SERIAL_H */

Generated on Sat Jan 7 14:04:15 2012 for ELM source code by  doxygen 1.5.6